Sometimes when people ask me what I do for a living, I say that I am a technologist. It is kind of an odd term but fits me pretty well. I have made a career out of being on the leading edge of technology since I taught myself how to use a computer when I was 25. I have speculated many times about the direction of technology and been right often enough to make a living.
I have an equal number of regrets about technology that I should have jumped into and didn’t. For example Apple stock was selling for under $5 per share in 2004. Today it is trading for $195.
Technology is such a relevant thing. I would like to have a dollar for every time I had a conversation with someone older than I am saying they are not interested in embracing new technology. My canned response is, “Do you ride your horse to work”? Of course not. Yet one hundred years ago many people still did ride horses or walk and cars were the new technology. We wouldn’t dream of not having a car now.
I grew up in a time of rotary phones and party lines. There really were no computers to speak of yet and automation consisted of punch cards. My parents and their generation would often drive to see people when they wanted to talk. They really weren’t much for talking on the phone.
My generation was different. My generation grew up talking on the phone and most of us still do.
The IBM PC came out in 1980 which changed the landscape in a dramatic fashion. Suddenly there were computers everywhere. In 1985 when I was twenty five cell phones came out. I remember owning a bag cell phone which was really high tech at the time. It was the size of a lunch box. It had a huge battery that didn’t last long and a strap so you could carry it with you. It was heavy and not very convenient.
(Inserted here: crystal structures)
********
The following is a PBE calculation of crystalline Ac2Be3NiGe4 at its relaxed geometry, from Alexandria.

Summary:
DFT formation energy in meV/atom: -400.3
Crystal system: tetragonal
SG: P-4m2 (115)

Cell: 4.293 4.293 9.851 Å, 90.00 90.00 90.00°
Atoms (fractional coordinates):
Ac 0.000 0.500 0.244
Ac 0.500 0.000 0.756
Be 0.000 0.000 0.000
Be 0.000 0.500 0.625
Be 0.500 0.000 0.375
Ni 0.500 0.500 0.000
Ge 0.000 0.000 0.500
Ge 0.000 0.500 0.876
Ge 0.500 0.000 0.124
Ge 0.500 0.500 0.500



The following is a PBE calculation of crystalline MgTlP2 at its relaxed geometry, from Alexandria.

Summary:
DFT formation energy in meV/atom: 216.5
Crystal system: trigonal
SG: R-3m (166)

Cell: 3.158 3.158 28.902 Å, 90.00 90.00 120.00°
Atoms (fractional coordinates):
Mg 0.000 0.000 0.000
Mg 0.333 0.667 0.667
Mg 0.667 0.333 0.333
Tl 0.000 0.000 0.500
Tl 0.333 0.667 0.167
Tl 0.667 0.333 0.833
P 0.000 0.000 0.265
P 0.000 0.000 0.735
P 0.333 0.667 0.402
P 0.333 0.667 0.932
P 0.667 0.333 0.068
P 0.667 0.333 0.598



The following is a PBE calculation of crystalline Tb4TcTe at its relaxed geometry, from Alexandria.

Summary:
ΔE_f (raw) in eV per atom: -0.511
Crystal system: orthorhombic
SG: Pnma (62)

Cell: 8.139 4.107 19.453 Å, 90.00 90.00 90.00°
Atoms (fractional coordinates):
Tb 0.002 0.250 0.067
Tb 0.055 0.750 0.213
Tb 0.129 0.750 0.643
Tb 0.143 0.750 0.455
Tb 0.357 0.250 0.955
Tb 0.371 0.250 0.143
Tb 0.445 0.250 0.713
Tb 0.498 0.750 0.567
Tb 0.502 0.250 0.433
Tb 0.555 0.750 0.287
Tb 0.629 0.750 0.857
Tb 0.643 0.750 0.045
Tb 0.857 0.250 0.545
Tb 0.871 0.250 0.357
Tb 0.945 0.250 0.787
Tb 0.998 0.750 0.933
Tc 0.249 0.250 0.556
Tc 0.251 0.750 0.056
Tc 0.749 0.250 0.944
Tc 0.751 0.750 0.444
Te 0.248 0.750 0.807
Te 0.252 0.250 0.307
Te 0.748 0.750 0.693
Te 0.752 0.250 0.193



The following is a PBE calculation of crystalline BeIn2PbAu5 at its relaxed geometry, from Alexandria.

Summary:
DFT formation energy in meV/atom: -69.1
Crystal system: orthorhombic
SG: Immm (71)

Cell: 8.098 8.098 8.098 Å, 146.86 137.09 55.27°
Atoms (fractional coordinates):
Be 0.000 0.000 0.000
In 0.204 0.704 0.500
In 0.796 0.296 0.500
Pb 0.500 0.500 0.000
Au 0.000 0.500 0.500
Au 0.129 0.873 0.256
Au 0.383 0.127 0.256
Au 0.617 0.873 0.744
Au 0.871 0.127 0.744



The following is a PBE calculation of crystalline MnSi2Mo at its relaxed geometry, from Alexandria.

Summary:
ΔE_f (raw) in eV per atom: -0.211
Crystal system: monoclinic
SG: Cm (8)

Cell: 8.801 2.876 4.321 Å, 90.00 107.10 90.00°
Atoms (fractional coordinates):
********
By the time the 1995 rolled around, the Internet had taken hold and people were going online in masses. I owned one of the first Internet services in the area at the time, and the first service in New York State that was completely Windows based. (Everything before that used Unix or Linux).
I was wearing a pager and most people I knew had one. I even started a business selling pagers. That business didn’t do very well and didn’t last long. Pagers now are a thing of the past and that was only 20 years ago.
By the time my son was a teenager (2005 ish?) there were cell phones everywhere. Even the kids had them. I remember finally relenting when he was in high school because it was just easier to communicate rides home from school and sports activities using a cell phone.
People from that generation use text messaging and often don’t like to talk on the phone much. That’s how things change.
Now smart phones are the thing and we do everything on them, email, messaging, browsing the Internet, etc. It has gotten to the point the Internet service is considered a utility like electricity, water service or natural gas.
Many businesses are using the Internet for phone service (IP phones). This allows for people being able to work from anywhere and working from home, telecommuting, has become a thing. And I am one of those people that makes that possible.
Recently I passed on buying a house to flip largely due to the lack of high speed Internet service. I think most of us will live to see unlimited high speed Internet service delivered by wireless that will be available to everyone regardless of location.
All this technology is really great in some ways and not so great in others. I will get to that in my next article :).